(Material)
# 1
A plane-wave DFT calculation with r2SCAN was carried out for a geometry-optimized KNa2CoF6 structure.

abc: 5.971 5.971 5.971
angles: 60.00 60.00 60.00
Element x y z (fractional)
K  0.500  0.500  0.500
Na  0.250  0.250  0.250
Na  0.750  0.750  0.750
Co  0.000  0.000  0.000
F  0.217  0.783  0.217
F  0.783  0.783  0.217
F  0.783  0.217  0.783
F  0.783  0.217  0.217
F  0.217  0.783  0.783
F  0.217  0.217  0.783

## Properties
electronic total energy: -7.037 eV per atom
formation energy: -2.5234 eV/atom

# 2
A plane-wave DFT calculation with r2SCAN was carried out for a geometry-optimized KRb2CoF6 structure.

abc: 6.122 6.122 6.122
angles: 60.00 60.00 60.00
Element x y z (fractional)
K  0.500  0.500  0.500
Rb  0.750  0.750  0.750
Rb  0.250  0.250  0.250
Co  0.000  0.000  0.000
F  0.787  0.213  0.213
F  0.787  0.787  0.213
F  0.213  0.213  0.787
F  0.213  0.787  0.787
F  0.787  0.213  0.787
F  0.213  0.787  0.213

## Properties
electronic total energy: -9.327 eV per atom
formation energy: -2.7403 eV/atom

# 3
A plane-wave DFT calculation with r2SCAN was carried out for a geometry-optimized LiCo5O7F structure.

abc: 5.702 5.699 9.780
angles: 89.98 73.06 120.01
Element x y z (fractional)
Li  0.990  0.995  0.013
Li  0.990  0.495  0.513
Co  0.755  0.378  0.867
Co  0.380  0.937  0.683
Co  0.380  0.437  0.183
Co  0.874  0.937  0.683
Co  0.874  0.437  0.183
Co  0.755  0.878  0.367
Co  0.374  0.687  0.939
Co  0.374  0.187  0.439
Co  0.380  0.443  0.683
Co  0.380  0.943  0.183
O  0.615  0.807  0.578
O  0.614  0.307  0.078
O  0.166  0.583  0.805
O  0.166  0.083  0.305
O  0.612  0.583  0.805
O  0.612  0.083  0.305
O  0.613  0.030  0.804
O  0.613  0.530  0.304
O  0.139  0.347  0.070
O  0.139  0.847  0.570
O  0.139  0.792  0.070
O  0.139  0.292  0.570
O  0.583  0.792  0.070
O  0.583  0.292  0.570
F  0.130  0.565  0.305
F  0.130  0.065  0.805

## Properties
electronic total energy: -9.649 eV per atom
formation energy: -1.5426 eV/atom

# 4
A plane-wave DFT calculation with r2SCAN was carried out for a geometry-optimized Li5CoOF5 structure.

abc: 2.847 12.569 5.717
angles: 76.85 90.00 90.00
Element x y z (fractional)
Li  0.000  0.667  0.167
Li  0.000  0.667  0.667
Li  0.001  0.992  0.504
Li  0.001  0.992  0.004
Li  0.999  0.341  0.329
Li  0.999  0.341  0.829
Li  0.500  0.507  0.996
Li  0.500  0.507  0.496
Li  0.500  0.827  0.838
Li  0.500  0.827  0.337
Co  0.500  0.167  0.167
Co  0.500  0.167  0.667
O  0.000  0.168  0.416
O  0.000  0.166  0.917
F  0.500  0.667  0.917
F  0.500  0.667  0.417
F  0.500  0.987  0.757
F  0.500  0.987  0.256
F  0.500  0.346  0.077
F  0.500  0.346  0.576
F  0.000  0.506  0.247
F  0.000  0.505  0.747
F  0.000  0.828  0.087
F  0.000  0.828  0.587

## Properties
electronic total energy: -6.708 eV per atom
formation energy: -2.8103 eV/atom

# 5
A plane-wave DFT calculation with r2SCAN was carried out for a geometry-optimized MgCoF6 structure.

abc: 5.295 5.295 5.295
angles: 56.58 56.58 56.58
Element x y z (fractional)
Mg  0.500  0.500  0.500
Co  0.000  0.000  0.000
F  0.646  0.874  0.240
F  0.874  0.240  0.646
F  0.760  0.354  0.126
F  0.126  0.760  0.354
F  0.354  0.126  0.760
F  0.240  0.646  0.874

## Properties
electronic total energy: -7.043 eV per atom
formation energy: -2.5234 eV/atom

# 6
A plane-wave DFT calculation with r2SCAN was carried out for a geometry-optimized NaCoF3 structure.

abc: 5.181 5.181 7.436
angles: 90.00 90.00 145.85
Element x y z (fractional)
Na  0.747  0.253  0.250
Na  0.253  0.747  0.750
Co  0.000  0.000  0.500
Co  0.000  0.000  0.000
F  0.078  0.922  0.250
F  0.922  0.078  0.750
F  0.369  0.631  0.439
F  0.631  0.369  0.561
F  0.369  0.631  0.061
F  0.631  0.369  0.939

## Properties
electronic total energy: -7.770 eV per atom
formation energy: -2.5346 eV/atom

# 7
A plane-wave DFT calculation with r2SCAN was carried out for a geometry-optimized NaCoF3 structure.

abc: 5.369 5.575 7.704
angles: 90.00 90.00 90.00
Element x y z (fractional)
Na  0.018  0.939  0.750
Na  0.518  0.561  0.250

(Assignment)
Type out everything above unchanged.

(Done)
# 1
A plane-wave DFT calculation with r2SCAN was carried out for a geometry-optimized KNa2CoF6 structure.

abc: 5.971 5.971 5.971
angles: 60.00 60.00 60.00
Element x y z (fractional)
K  0.500  0.500  0.500
Na  0.250  0.250  0.250
Na  0.750  0.750  0.750
Co  0.000  0.000  0.000
F  0.217  0.783  0.217
F  0.783  0.783  0.217
F  0.783  0.217  0.783
F  0.783  0.217  0.217
F  0.217  0.783  0.783
F  0.217  0.217  0.783

## Properties
electronic total energy: -7.037 eV per atom
formation energy: -2.5234 eV/atom

# 2
A plane-wave DFT calculation with r2SCAN was carried out for a geometry-optimized KRb2CoF6 structure.

abc: 6.122 6.122 6.122
angles: 60.00 60.00 60.00
Element x y z (fractional)
K  0.500  0.500  0.500
Rb  0.750  0.750  0.750
Rb  0.250  0.250  0.250
Co  0.000  0.000  0.000
F  0.787  0.213  0.213
F  0.787  0.787  0.213
F  0.213  0.213  0.787
F  0.213  0.787  0.787
F  0.787  0.213  0.787
F  0.213  0.787  0.213

## Properties
electronic total energy: -9.327 eV per atom
formation energy: -2.7403 eV/atom

# 3
A plane-wave DFT calculation with r2SCAN was carried out for a geometry-optimized LiCo5O7F structure.

abc: 5.702 5.699 9.780
angles: 89.98 73.06 120.01
Element x y z (fractional)
Li  0.990  0.995  0.013
Li  0.990  0.495  0.513
Co  0.755  0.378  0.867
Co  0.380  0.937  0.683
Co  0.380  0.437  0.183
Co  0.874  0.937  0.683
Co  0.874  0.437  0.183
Co  0.755  0.878  0.367
Co  0.374  0.687  0.939
Co  0.374  0.187  0.439
Co  0.380  0.443  0.683
Co  0.380  0.943  0.183
O  0.615  0.807  0.578
O  0.614  0.307  0.078
O  0.166  0.583  0.805
O  0.166  0.083  0.305
O  0.612  0.583  0.805
O  0.612  0.083  0.305
O  0.613  0.030  0.804
O  0.613  0.530  0.304
O  0.139  0.347  0.070
O  0.139  0.847  0.570
O  0.139  0.792  0.070
O  0.139  0.292  0.570
O  0.583  0.792  0.070
O  0.583  0.292  0.570
F  0.130  0.565  0.305
F  0.130  0.065  0.805

## Properties
electronic total energy: -9.649 eV per atom
formation energy: -1.5426 eV/atom

# 4
A plane-wave DFT calculation with r2SCAN was carried out for a geometry-optimized Li5CoOF5 structure.

abc: 2.847 12.569 5.717
angles: 76.85 90.00 90.00
Element x y z (fractional)
Li  0.000  0.667  0.167
Li  0.000  0.667  0.667
Li  0.001  0.992  0.504
Li  0.001  0.992  0.004
Li  0.999  0.341  0.329
Li  0.999  0.341  0.829
Li  0.500  0.507  0.996
Li  0.500  0.507  0.496
Li  0.500  0.827  0.838
Li  0.500  0.827  0.337
Co  0.500  0.167  0.167
Co  0.500  0.167  0.667
O  0.000  0.168  0.416
O  0.000  0.166  0.917
F  0.500  0.667  0.917
F  0.500  0.667  0.417
F  0.500  0.987  0.757
F  0.500  0.987  0.256
F  0.500  0.346  0.077
F  0.500  0.346  0.576
F  0.000  0.506  0.247
F  0.000  0.505  0.747
F  0.000  0.828  0.087
F  0.000  0.828  0.587

## Properties
electronic total energy: -6.708 eV per atom
formation energy: -2.8103 eV/atom

# 5
A plane-wave DFT calculation with r2SCAN was carried out for a geometry-optimized MgCoF6 structure.

abc: 5.295 5.295 5.295
angles: 56.58 56.58 56.58
Element x y z (fractional)
Mg  0.500  0.500  0.500
Co  0.000  0.000  0.000
F  0.646  0.874  0.240
F  0.874  0.240  0.646
F  0.760  0.354  0.126
F  0.126  0.760  0.354
F  0.354  0.126  0.760
F  0.240  0.646  0.874

## Properties
electronic total energy: -7.043 eV per atom
formation energy: -2.5234 eV/atom

# 6
A plane-wave DFT calculation with r2SCAN was carried out for a geometry-optimized NaCoF3 structure.

abc: 5.181 5.181 7.436
angles: 90.00 90.00 145.85
Element x y z (fractional)
Na  0.747  0.253  0.250
Na  0.253  0.747  0.750
Co  0.000  0.000  0.500
Co  0.000  0.000  0.000
F  0.078  0.922  0.250
F  0.922  0.078  0.750
F  0.369  0.631  0.439
F  0.631  0.369  0.561
F  0.369  0.631  0.061
F  0.631  0.369  0.939

## Properties
electronic total energy: -7.770 eV per atom
formation energy: -2.5346 eV/atom

# 7
A plane-wave DFT calculation with r2SCAN was carried out for a geometry-optimized NaCoF3 structure.

abc: 5.369 5.575 7.704
angles: 90.00 90.00 90.00
Element x y z (fractional)
Na  0.018  0.939  0.750
Na  0.518  0.561  0.250